890 resultados para exporting of democracy
The European Union's powerful legal system has proven to be the vanguard moment in the process of European integration. As early as the 1960s, the European Court of Justice established an effective and powerful supranational legal order, beyond the original wording of the Treaties of Rome through the doctrines of direct effect and supremacy. Whereas scholars have analyzed the evolution of EU case law and its implications, only very recent historical scholarship has examined how the Member States received this process in the context of a number of difficult political and economic crises for the integration process. This paper investigates how the national level dealt with these fundamental transformations in the European legal system. Specifically, it examines one of the Union's most important member states, the Federal Republic of Germany. Faced with a huge number of cases dealing with European law, German judges dealt with the supremacy of European law very cautiously, negotiating between increasingly polarized academic, public and ministerial debates on the question throughout the 1960s. By the mid 1970s, the German Constitutional Court famously limited the power of the ECJ in its Solange decision (1974). This was an expression of a broader discourse in Germany from 1968 onwards about the qualitative nature of democracy and participation in public life and was in some aspects a marker, at which the German elites felt comfortable expressing the value of their national constitutional system on the European stage. This paper examines the political, media and academic build up and response to the Constitutional Court's decision in the 1970s, arguing that the national "reception" is central to understanding the dynamics and evolution of European Union legal history.
There are two reasons for the virtual nature of the West’s dialogue with Ukraine. The first is institutional as the EU has until now only been willing to use ‘carrots’ and ‘sticks’ in ‘enlargement-heavy’ (i.e. full membership) whereas it has only used ‘carrots,’ but never ‘sticks’, in ‘enlargement-light’ (i.e. the DCFTA). European Council Foreign Relations Senior Fellows Nicu Popescu and Andrew Wilson argue that the EU should be more willing to use both carrots and sticks; that is integrating its soft and hard power. The second is a disconnection between the West and Kyiv over definitions of democracy. The Ukrainian authorities have until now wanted to have their cake and eat it, too; rolling back democracy in Kyiv while claiming to sign up to ‘European values’ in Brussels.
Este artículo presenta un análisis de la noción de hegemonía tal como es desarrollada por Ernesto Laclau en investigaciones que comprenden desde trabajos previos a su clásico Hegemonía y estrategia socialista. Hacia una radicalización de la democracia (1985, en colaboración con Chantal Mouffe) hasta su obra importante más reciente La razón populista (2004). La hipótesis de lectura que guía el articulo es que hegemonía -desde sus orígenes en la teoría política de Laclau- funciona como una categoría que plantea la relación entre la universalidad y la particularidad pero también como tres conceptos -en tanto esta categoría adquiere un contenido particular cuando se la utiliza en diferentes campos: lo político y la lógica de constitución de lo social; el funcionamiento de una/la lógica de la política; y la constitución de las identidades colectivas
Uno de los objetivos de este artículo es reconstruir la trayectoria intelectual de Juan Carlos Portantiero en torno a un conjunto limitado de sus intereses: el socialismo y la democracia, en su relación, no por separado, a la vez que ello se vincula con la articulación de una estrategia de explicación histórica y sociológica. La otra veta del artículo analiza las relaciones entre culturas políticas y ciencia social, en particular la cultura de izquierdas y el desarrollo de las ciencias sociales en América Latina. Ello se ha realizado sobre la base de una lectura de casi toda su producción intelectual, tratando de rastrear y mostrar algunas continuidades y cambios o desplazamientos en sus ideas y preocupaciones. Se muestra que Portantiero elabora una estrategia de explicación social sobre la base de Marx, Lenin, Gramsci, Mao hasta fines de los setenta, preocupado por la socialización del poder y, entonces, de la economía. Las dos últimas décadas se concentra en la construcción de las condiciones de consolidación de la democracia, pensada como un régimen que incluya reconocimiento de minorías y funcione para reducir los monopolios económicos y políticos.
An election at the English Academy. Has America produced a poet? The influence of democracy on literature. Is verse in danger? The limits of realism in fiction. Making a name in literature. Shelley in 1892. Symbolism and M. Stéphane Mallarmé. Tennyson-and after. Two pastels: 1. Mr. Robert Louis Stevenson as a poet. 2. Mr. Rudyard Kipling's short stories. The tyranny of the novel. What is a great poet?
Description based on: Vol. 38, no. 14 (Apr. 1, 1911); title from caption.
The prospects of popular government.--The nature of democracy.--The age of progress.--The Constitution of the United States.
Next to the entry, the page also holds calculated molecules >
<<<
(1)
>>>
After the electoral reform in 1994, Japan saw a gradual evolution from a multi-party system toward a two-party system over the course of five House of Representatives election cycles. In contrast, after Taiwan’s constitutional amendment in 2005, a two-party system emerged in the first post-reform legislative election in 2008. Critically, however, Taiwan’s president is directly elected while Japan’s prime minister is indirectly elected. The contributors conclude that the higher the payoffs of holding the executive office and the greater degree of cross-district coordination required to win it, the stronger the incentives for elites to form and stay in the major parties. In such a context, a country will move rapidly toward a two-party system. In Part II, the contributors apply this theoretical logic to other countries with mixed-member systems to demonstrate its generality. They find the effect of executive competition on legislative electoral rules in countries as disparate as Thailand, the Philippines, New Zealand, Bolivia, and Russia. The findings presented in this book have important implications for political reform. Often, reformers are motivated by high hopes of solving some political problems and enhancing the quality of democracy. But, as this group of scholars demonstrates, electoral reform alone is not a panacea. Whether and to what extent it achieves the advocated goals depends not only on the specification of new electoral rules per se but also on the political context—and especially the constitutional framework—within which such rules are embedded.
At head of title: Under the superintendence of the Society for the Diffusion of Useful Knowledge.
Introduction.--The terminology of the railroad.--The word-element "auto-."--The word-element "aéro-."--Nomenclature of the Republican calendar.--The metric terminology.--Terminology for the idea of equality.--Terminology for the idea of liberty.--Terminology for the idea of democracy.--Conclusion.--Bibliography (p.243-250)
A collection of miscellaneous pamphlets.
A collection of miscellaneous pamphlets on religion.
A collection of miscellaneous pamphlets.
"'Christmas and the spirit of democracy' appeared originally in Everybody's magazine, the four other essays in the Atlantic monthly."
+++
Density functional theory data (wB97M-V/def2-TZVPD) for a single C13H21P molecule at a distorted geometry.

## Properties
Charge   0
SMILES string   C[C@@H]1CC[C@H](C)P1[C@]1(C)C=CC=CC1
E_LUMO   0.84 eV
Relative energy (zero: lowest compared OMol25 entry of this formula, charge and spin)   2.810 eV
Energy   -849.169748 a.u.

The geometry in XYZ format:
```
35
Properties=species:S:1:pos:R:3:forces:R:3
P 0.492 0.621 -0.101 0.4 -0.6 0.3
C 0.787 -1.553 -1.659 -2.2 -0.8 0.5
C 0.861 -0.610 1.284 1.9 2.8 1.3
C -0.856 1.410 0.917 0.2 1.2 -1.3
C -1.629 -1.284 -0.901 0.3 1.8 -2.4
C -0.301 -0.540 -1.313 -2.2 -0.8 -1.4
C 2.336 -0.885 1.746 -1.9 1.3 0.8
C -1.055 0.568 2.181 -1.8 -2.4 -2.8
C 0.283 0.037 2.576 -1.9 -1.3 -2.7
C -0.109 0.097 -3.806 1.9 -0.8 1.0
C -0.247 2.764 1.323 0.9 -0.4 -2.0
C 1.315 -1.667 -2.865 -0.3 2.6 -0.1
C 0.929 -0.734 -3.949 -0.6 0.0 1.7
C -0.889 0.233 -2.556 1.6 -1.6 -0.1
H 0.802 0.876 2.809 2.2 2.1 1.0
H -1.807 -0.230 -2.902 -0.8 0.4 0.7
H -0.001 3.551 0.539 -0.8 -1.2 0.8
H -1.414 -2.021 -0.284 1.0 -3.5 3.6
H 1.550 -0.793 -4.790 0.3 0.1 -1.5
H -0.998 1.230 -2.234 -0.6 1.5 -0.2
H 3.090 -0.866 1.023 1.1 -0.2 -1.2
H -0.479 0.659 -4.588 -0.4 1.2 -1.8
H 2.596 -0.185 2.591 -0.1 -0.6 -1.1
H -2.327 -0.627 -0.395 -0.4 0.2 -0.4
H -1.594 1.132 2.874 -0.8 0.7 1.5
H -1.705 -0.307 1.798 0.6 1.1 1.0
H 2.210 -2.181 -2.997 1.0 -1.7 -0.5
H 0.297 -1.469 1.075 -0.5 -1.5 -0.2
H 0.685 2.442 1.705 1.4 0.5 0.7
H -2.061 -1.867 -1.766 0.2 1.1 0.6
H 2.195 -1.828 2.184 0.7 -1.6 0.7
H 0.781 -2.415 -0.985 0.9 0.5 0.3
H -0.819 3.103 2.115 -1.1 1.4 1.5
H -1.740 1.638 0.298 0.0 -0.6 0.4
H 0.349 -0.682 3.340 -0.3 -0.7 1.3
```
Positions in Å, forces in eV/Å.


Density functional theory data (wB97M-V/def2-TZVPD) for 12 unconnected molecules or ions with the total composition C5H34N2O12 at a distorted geometry.

## Properties
Charge   0
SMILES string   CCCCNC(N)=O.O.O.O.O.O.O.O.O.O.O.O
E_LUMO   0.11 eV
Relative energy (zero: lowest compared OMol25 entry of this formula, charge and spin)   1.828 eV
Energy   -1223.315836 a.u.

The geometry in XYZ format:
```
53
Properties=species:S:1:pos:R:3:forces:R:3
O 3.267 -1.348 2.573 0.2 -0.3 0.2
O -1.381 2.890 -1.493 -0.4 -0.6 0.6
O -1.728 1.783 1.315 -0.1 -1.2 1.2
O -0.422 -3.391 1.328 -0.3 0.3 -1.1
O 1.530 2.574 1.546 0.6 1.2 -1.2
O -1.923 0.954 -3.580 -0.7 -0.4 -0.9
O 1.696 0.561 3.677 0.0 0.5 0.5
O 0.161 -4.143 -1.190 0.3 0.2 -0.4
O -2.860 -1.252 0.440 -0.7 -0.1 -1.2
O -0.950 1.331 3.969 0.2 0.2 1.2
O 1.620 4.562 -0.432 0.0 -0.5 0.7
O -3.132 -1.328 -2.488 1.4 -0.2 -1.2
N 0.215 -1.759 2.667 -0.8 0.6 -1.5
N 0.760 -1.701 0.355 -0.2 0.6 -0.9
C 0.146 -0.341 -2.230 0.9 -0.2 -0.5
C 0.568 -0.795 -3.638 0.1 0.7 -0.3
C 1.416 -0.180 -1.365 -0.8 -1.4 -0.4
C 1.073 -0.292 0.120 0.9 0.0 -0.2
C 0.097 -2.263 1.380 0.9 -1.5 2.5
H -1.331 0.461 4.104 0.0 -0.1 -0.1
H 1.665 4.917 0.465 0.0 0.7 -0.3
H -0.183 -3.979 -0.284 -0.3 -0.3 -0.1
H 1.941 0.115 0.646 0.1 -0.7 0.5
H 3.606 -0.760 1.895 0.0 -0.1 -0.2
H 0.356 -0.004 -4.347 -0.1 0.0 -0.3
+++
no.1 The Railroad question. 1919?--no.2 Labor and reconstruction. 1919?--no.3 Education. 1919?--no.4 Buffer employment, land, housing. 1919?--no.5 New marketing systems, the farmer and reconstruction. 1919?--no.6 International. 1919?--no.7 Popular government. 1919?--no.8 Kent, William. Democracy and efficiency. 1913.--no.9 King, Judson. The state-wide initiative and referendum. 1917.--no.10 Vrooman, C.S. Initiative and referendum in Switzerland. 1913.--no.11 Haynes, J.R. Direct government in California. 1917.--no.12 Lewis, W.D. Recall of judicial decisions in state constitutional question.--no.13 American federation of labor. Executive council. Initiative, referendum and recall. [1913?]--no. 14 Thieme, T.F. A new state constitution for Indiana. 1914?--no.15 Montague, R.W. The Oregon system at work. 1914?--no. 16 Committee to inquire into the status of democracy. [1910?]--no. 17 National popular government league, Washington, D.C. The first year and a look ahead. 1915?--no. 18 Committee to inquire into the status of democracy. The confusion of property with privilege. [1910]--no. 19 United States. Congress. Senate. Committee on privileges and elections. Publicity and control of campaign contributions and disbursements. [1917]--no. 20 Bettman, Alfred and Hale, Swinburne. Do we need more sedition laws? [1902]--no. 21 Johnson, L.J. The preferential ballot as a substitute for the direct primary. 1915.